Last February I wrote about Michael Moore’s new film “Sicko” and suggested that it will be about Moore than the pharmaceutical industry (see “Michael Moore Seeks Sickos“).

In July, Moore sent out an email notice that more or less confirmed this:

“But like my other movies, what we start with (General Motors, guns, 9/11) is not always what we end with. Along the way, we discover new roads to go down, roads that often surprise us and lead us to new ideas — and challenge us to reconsider the ones we began with. That, I can say with certainty, is happening now as we shoot “Sicko.” I don’t think the country needs a movie that tells you that HMOs and the pharmaceutical companies suck. Everybody knows that. I’d like to show you some things you don’t know.”

Also, Peter Rost — “Pharma’s Black Knight” — was once asked to be in the movie, but suddenly Peter has been left hanging by Moore, which leads him to suspect that pharmacos will not be the villains of the movie after all. Rost, however, continues to tilt at the wind mill (see Rost’s post: “Ideas for Michael Moore’s Film Sicko“).

Wha’ happened?

_Attached: materials data_
********
1.
Computed, not measured: AcLa4Ag5 after structural relaxation at the GGA-PBE level of DFT.

## Properties
volume: 286 Å³ per cell
size of the total moment: 0.000 μB per atom
E: -4.064 eV per atom
SG: P4/mmm, No. 123

a b c (Å): 3.834 3.834 19.461
angles (deg): 90.00 90.00 90.00
Positions (direct):
Ag: 0.500 0.500 0.303
Ac: 0.000 0.000 0.000
La: 0.000 0.000 0.401
La: 0.000 0.000 0.599
La: 0.000 0.000 0.204
La: 0.000 0.000 0.796
Ag: 0.500 0.500 0.893
Ag: 0.500 0.500 0.697
Ag: 0.500 0.500 0.107
Ag: 0.500 0.500 0.500

2.
Computed, not measured: TcNiHRu2 after structural relaxation at the GGA-PBE level of DFT.

## Properties
volume: 56 Å³ per cell
size of the total moment: 0.000 μB per atom
E: -7.465 eV per atom
SG: P4/mmm, No. 123

a b c (Å): 3.879 3.879 3.713
angles (deg): 90.00 90.00 90.00
Positions (direct):
Ni: 0.000 0.000 0.500
H: 0.000 0.000 0.000
Ru: 0.500 0.000 0.000
Tc: 0.500 0.500 0.500
Ru: 0.000 0.500 0.000

3.
Computed, not measured: Cd2CuSnI after structural relaxation at the GGA-PBE level of DFT.

## Properties
volume: 157 Å³ per cell
size of the total moment: 0.000 μB per atom
raw formation energy: 177.3 meV per atom
E: -2.119 eV per atom
SG: P4/mmm, No. 123

a b c (Å): 5.631 4.947 5.631
angles (deg): 90.00 90.00 90.00
Positions (direct):
Cd: 0.500 0.000 0.000
Cd: 0.000 0.000 0.500
Sn: 0.000 0.000 0.000
Cu: 0.000 0.500 0.000
I: 0.500 0.500 0.500

4.
Computed, not measured: Tm2HfTiN4 after structural relaxation at the GGA-PBE level of DFT.

## Properties
volume: 97 Å³ per cell
size of the total moment: 0.000 μB per atom
raw formation energy: -1768.0 meV per atom
E: -9.280 eV per atom
SG: P2/m, No. 10

a b c (Å): 3.242 5.596 5.661
angles (deg): 109.29 90.00 90.00
Positions (direct):
Tm: 0.000 0.500 0.500
N: 0.000 0.746 0.230
Hf: 0.500 0.500 0.000
N: 0.000 0.254 0.770
N: 0.500 0.759 0.771
N: 0.500 0.241 0.229
Ti: 0.000 0.000 0.000
Tm: 0.500 0.000 0.500

* * * * *

Entry 1:
# GGA-PBE Pm5Tl2O2, relaxed
# - V: 25.6 Å³/atom
# - DOS at the Fermi energy: 4.09 states/eV/f.u.
# - Raw formation energy: -1.423 eV per atom
# - Energy: -5.6898 eV per atom
# - Polymorph energy (0 for the lowest one): 0.000 eV per atom
data_Pm5Tl2O2
_symmetry_space_group_name_H-M 'P 4/m m m'
_symmetry_Int_Tables_number 123
_symmetry_space_group_name_Hall '-P 4 2'
_cell_length_a 4.8883
_cell_length_b 4.8883
_cell_length_c 9.6495
_cell_angle_alpha 90.00
_cell_angle_beta 90.00
_cell_angle_gamma 90.00
loop_
_atom_site_label
_atom_site_type_symbol
********

Moore’s technique of cornering hapless executives into making incriminating statements during an interview probably would not work with the pharmaceutical industry. Not that there are no hapless pharmaceutical executives, but the industry circled its wagons long ago and warned its employees not to talk to “overweight middle-aged tall men with an unkempt appearance wearing a baseball hat.”

But there are plenty of disgruntled former employees like Rost and sales reps willing and able to talk to Moore. Plus, many doctors would give him free reign for interviews about drug company abuses. Patients too would be available.

Perhaps the industry employed another Moore-busting technique: pay off the patients who tell Moore their horror stories. According to a post on the Cinematical Blog:

The problem, though, is that all the health care companies know exactly who Moore is, so the moment he shows up to document the struggles of a family dealing with an outrageous situation, “they get free health care.” According to Moore, “There has been a 100% success rate of the people we’re filming of getting whatever they need from the HMOs, pharmaceutical companies, whatever.” Well, that’s progress. Now all we have to do to fix things is have Moore travel to all the families with complaints, and the health care issue will be solved, right?

Also, as Moore said, everybody knows the story about pharmaceutical companies already (see, for example, “Generation X Pharma Reps“).

Perhaps pharmacos can breathe a sigh of relief. At worst, they will play a supporting role in Moore’s film, not a starring role.

But then again, this may be a dastardly plan by Moore to cause the industry to drop its guard.